Nadine Lott was ‘completely unrecognisable’ after attack, murder trial told

Daniel Murtagh (34) is on trial over killing of ex-partner in her Arklow home

Nadine Lott (30), who was killed at her apartment in St Mary’s Court, Arklow, Co Wicklow on December 17th, 2019.
Nadine Lott (30), who was killed at her apartment in St Mary’s Court, Arklow, Co Wicklow on December 17th, 2019.

A paramedic has told a murder trial that the emergency call he made to Nadine Lott’s house will “haunt” him for the rest of his career and was one of the most “horrendous scenes” he had ever walked into in his life.

Inserted here: data records =
-- begin --
Entry 1:
# PBE TbY2Th3Se6, optimized geometry
data_TbY2Th3Se6
_symmetry_space_group_name_H-M 'C 1 2/m 1'
_symmetry_Int_Tables_number 12
_cell_length_a 6.9864
_cell_length_b 12.0203
_cell_length_c 7.5609
_cell_angle_alpha 90.00
_cell_angle_beta 107.72
_cell_angle_gamma 90.00
loop_
_symmetry_equiv_pos_as_xyz
'x,y,z'
'-x,-y,-z'
'-x,y,-z'
'x,-y,z'
'x+1/2,y+1/2,z'
'-x+1/2,-y+1/2,-z'
'-x+1/2,y+1/2,-z'
'x+1/2,-y+1/2,z'
loop_
_atom_site_label
_atom_site_type_symbol
_atom_site_fract_x
_atom_site_fract_y
_atom_site_fract_z
Tb1 Tb 0.0000 0.0000 0.0000
Y1 Y 0.0000 0.3334 0.0000
Th1 Th 0.0000 0.1664 0.5000
Th2 Th 0.0000 0.5000 0.5000
Se1 Se 0.2443 0.5000 0.2343
Se2 Se 0.2452 0.1670 0.2346
# Magnetization = 0.0000 μB per atom
# Formation energy from raw total energies = -1645 meV per atom
# Volume = 605 Å³ per cell


Entry 2:
# PBE Tb3Y2ThSe6, optimized geometry
data_Tb3Y2ThSe6
_symmetry_space_group_name_H-M 'C 1 2/m 1'
_symmetry_Int_Tables_number 12
_cell_length_a 17.8940
_cell_length_b 4.0979
_cell_length_c 8.2642
_cell_angle_alpha 90.00
_cell_angle_beta 102.73
_cell_angle_gamma 90.00
loop_
_symmetry_equiv_pos_as_xyz
'x,y,z'
'-x,-y,-z'
'-x,y,-z'
'x,-y,z'
'x+1/2,y+1/2,z'
'-x+1/2,-y+1/2,-z'
'-x+1/2,y+1/2,-z'
'x+1/2,-y+1/2,z'
loop_
_atom_site_label
_atom_site_type_symbol
_atom_site_fract_x
_atom_site_fract_y
_atom_site_fract_z
Tb1 Tb 0.0000 0.0000 0.0000
Tb2 Tb 0.1618 0.5000 0.3345
Y1 Y 0.1637 0.5000 0.8289
Th1 Th 0.0000 0.0000 0.5000
Se1 Se 0.0012 0.5000 0.7604
Se2 Se 0.1686 0.0000 0.0836
Se3 Se 0.1720 0.0000 0.5871
# Magnetization = 0.0000 μB per atom
# Formation energy from raw total energies = -1723 meV per atom
# Volume = 591 Å³ per cell


Entry 3:
# PBE Tb3TiSe6, optimized geometry
data_Tb3TiSe6
_symmetry_space_group_name_H-M 'C m c 21'
_symmetry_Int_Tables_number 36
_cell_length_a 11.2272
_cell_length_b 13.9377
_cell_length_c 6.8536
_cell_angle_alpha 90.00
_cell_angle_beta 90.00
_cell_angle_gamma 90.00
loop_
_symmetry_equiv_pos_as_xyz
'x,y,z'
'-x,-y,z+1/2'
'-x,y,z'
'x,-y,z+1/2'
'x+1/2,y+1/2,z'
'-x+1/2,-y+1/2,z+1/2'
'-x+1/2,y+1/2,z'
'x+1/2,-y+1/2,z+1/2'
loop_
_atom_site_label
_atom_site_type_symbol
_atom_site_fract_x
_atom_site_fract_y
_atom_site_fract_z
Tb1 Tb 0.0000 0.0960 0.0000
Tb2 Tb 0.1812 0.4022 0.9063
Ti1 Ti 0.0000 0.2994 0.3653
Se1 Se 0.0000 0.2788 0.7275
Se2 Se 0.0000 0.4631 0.2146
Se3 Se 0.1636 0.0325 0.7045
Se4 Se 0.1684 0.2313 0.1862
# Magnetization = 0.1020 μB per atom
# Formation energy from raw total energies = -1596 meV per atom
# Volume = 1072 Å³ per cell

~~~~~

No. 1
Density functional theory data (GGA-PBE) for crystalline ScAgRh2 at its relaxed geometry.

Structure (CIF):
```
data_ScAgRh2
_cell_length_a 2.9865
_cell_length_b 2.9865
_cell_length_c 25.9896
_cell_angle_alpha 90.00
_cell_angle_beta 90.00
_cell_angle_gamma 120.00
_space_group_name_H-M_alt 'R -3 m'
_space_group_IT_number 166
_space_group_name_Hall '-R 3 2"'
loop_
_atom_site_label
_atom_site_type_symbol
_atom_site_fract_x
_atom_site_fract_y
_atom_site_fract_z
-- stop --

The witness told the Central Criminal Court on Wednesday that it was like “a bulldozer” had gone through the beauty therapist’s apartment in Arklow as there was “broken furniture” everywhere. He described kneeling on broken glass and said his uniform was “destroyed” with blood as he performed CPR on Ms Lott.

Nurse Leah Grant, who works in the intensive care unit in St Vincent’s Hospital, broke down on Wednesday as she told the jury that Nadine was “completely unrecognisable” and she had never seen anybody so badly injured. “Her mum brought in a photo of her and everyone kept saying who is that and I said, ‘That’s her’,” she said.

Opening the trial of Daniel Murtagh on Tuesday, prosecution counsel John O’Kelly SC said Ms Lott suffered “severe blunt force trauma” and stab injuries at the hands of her former partner “in a sustained attack” in her Arklow home.


The barrister said the court would hear evidence that the injuries to Ms Lott were so serious that she never regained consciousness and died three days later in St Vincent’s Hospital in Dublin.

Mr Murtagh (34), of Melrose Grove, Bawnogue, Clondalkin, Dublin 22 has pleaded not guilty to murder but guilty to the manslaughter of his 30-year-old ex-partner Ms Lott at her apartment in St Mary’s Court, Arklow, Co Wicklow on December 17th 2019.

Paramedic Ian Clarke began his testimony by saying that St Mary’s Court was one of “the most horrendous scenes” he had ever walked into in his life.

Describing the state of the apartment, the witness said it was like a bulldozer had gone through it as there was broken furniture and frames everywhere.

“It was one of those calls which will haunt me for the rest of my career. I’ve been to some horrific calls but this was extremely difficult, very emotional and very charged,” he told the jurors.

The paramedic said a garda drove the ambulance to St Vincent’s Hospital that night so that three personnel could work on Nadine in the back.

Nurse Pamela O’Brien, who works in the emergency department of St Vincent’s Hospital, said there was a significant amount of damage to Nadine’s body and she was unconscious the whole time.

Referring to her size, the witness said Nadine was tiny and her head was huge in comparison to her “little body”. “I presume it was because of all the swelling around her face,” she indicated.

Ms O’Brien became emotional when she described doing her best to make Nadine as presentable as possible that day as her family were coming in later. “It didn’t make a massive difference what I did to her as they had already seen her at the scene,” she added.

Ms Grant said she took over Nadine’s care with a consultant after the patient left the emergency unit at 11am that morning. Breaking down on the stand, the nurse said she could not check Nadine’s pupils as her right eye was so physically swollen that they could not open it.

She said Nadine, who was very small and petite, received 42 units of blood in the first 24 hours in hospital. “I’ve never seen anybody as badly injured as her. She was completely unrecognisable. Her mum brought in a photo of her and everyone kept saying who is that and I said, ‘That’s her’.”

Earlier, Nadine’s neighbour Amela Kulenovic, gave evidence that she told gardaí that Mr Murtagh made a “growling noise” and was “vicious with rage” as he inflicted blows on Nadine “like a wild animal”.

The witness also told the court of finding Mr Murtagh “in a crouched position” on top of Ms Lott, where he was “inflicting a lot of force” on the beauty therapist and had his hands around her neck and shoulders.

Nadine Lott’s mother Claire Lott (left) and sister Tanith Lott  leaving the Central Criminal Court on Tuesday. Photograph: Collins Courts
Nadine Lott’s mother Claire Lott (left) and sister Tanith Lott leaving the Central Criminal Court on Tuesday. Photograph: Collins Courts

Mr O’Kelly also recalled Nadine’s mother Claire Lott on Wednesday.

Addressing Ms Lott, defence counsel Brendan Grehan SC said he was terribly sorry to have to ask her matters concerning her daughter’s relationship with the accused. Counsel put it to the witness that his client and Nadine had got back together five times since they returned to Ireland from Australia. “That’s not true,” replied Ms Lott.

The barrister asked if Mr Murtagh had stayed with Nadine in her apartment at other times up to her death. Ms Lott said the accused had only stayed in her daughter’s house on the night of December 13th.

Mr Grehan asked the witness if it would be fair to say that she did not like the accused. “I never said that. You are asking me that question where my daughter has been murdered. Before this, at times I did like Daniel. He was Nadine’s choice at the time,” she replied.

On Tuesday, Mr Grehan made a number of admissions of fact to the court on behalf of his client following the opening address. These included that the accused accepted that he had unlawfully killed Ms Lott and he “alone inflicted the injuries she suffered”. The issue to be decided by the jury, Mr Grehan said, will be his intent and in the “broader sense his mental state at the time”.

The trial continues on Thursday before Mr Justice Michael MacGrath and a jury of seven men and five women.